Work order =
The reader should echo only the last part of the notes below, starting with the line that has "0.000 0.498".

Material =
____________
Structure and computed PXRD pattern of CoSnHgS3 (a PBE-relaxed structure; λ = 1.5418 Å (Cu Kα)).
Neutral-atom scattering factors, no anomalous dispersion.

Largest 10 diffraction maxima, most intense first, 2θ = 10–80°:
20.66°, d = 4.299 Å, I = 100.0; 30.54°, d = 2.928 Å, I = 94.9; 31.72°, d = 2.821 Å, I = 87.6; 35.73°, d = 2.513 Å, I = 49.8; 25.86°, d = 3.445 Å, I = 46.9; 42.00°, d = 2.151 Å, I = 43.3; 32.55°, d = 2.751 Å, I = 39.6; 53.12°, d = 1.724 Å, I = 31.0; 63.71°, d = 1.461 Å, I = 30.9; 46.09°, d = 1.969 Å, I = 30.2

Structure:
Lattice parameters (Å, degrees): 7.1177 7.1177 11.0027 90.00 90.00 150.92
Atoms (fractional coordinates):
Co (0.0821, 0.9179, 0.7500)
Co (0.9179, 0.0821, 0.2500)
Sn (0.2167, 0.7833, 0.2500)
Sn (0.7833, 0.2167, 0.7500)
Hg (0.5000, 0.5000, 0.0000)
Hg (0.5000, 0.5000, 0.5000)
S (0.1909, 0.8091, 0.6077)
S (0.1909, 0.8091, 0.8923)
S (0.4901, 0.5099, 0.7500)
S (0.5099, 0.4901, 0.2500)
S (0.8091, 0.1909, 0.1077)
S (0.8091, 0.1909, 0.3923)

* * * * *

Theoretical PXRD pattern of Fe5Co3 for Cu Kα, from a crystal structure in Alexandria, relaxed with PBE.
Intensities are scaled so that the largest is 100.

The 8 most intense peaks (10 to 90 degrees two-theta), by intensity:
| (hkl) | two_theta | I_rel |
| --- | --- | --- |
| 2 4 0 | 45.1 | 100 |
| 2 0 -1 | 44.9 | 20 |
| 0 0 2 | 83.2 | 14 |
| 2 8 -1 | 65.5 | 12 |
| 4 0 0 | 83.4 | 9 |
| 2 0 1 | 65.9 | 6 |
| 2 4 -2 | 82.9 | 6 |
| 4 4 -1 | 83.0 | 6 |

Atomic structure:
```
data_Fe5Co3
_chemical_formula_sum 'Fe10 Co6'
_cell_length_a 4.930
_cell_length_b 16.094
_cell_length_c 2.470
_cell_angle_alpha 90.00
_cell_angle_beta 109.85
_cell_angle_gamma 90.00
_space_group_name_H-M_alt 'C 1 2 1'
_space_group_IT_number 5
loop_
_space_group_symop_operation_xyz
'x,y,z'
'-x,y,-z'
'x+1/2,y+1/2,z'
'-x+1/2,y+1/2,-z'
loop_
_atom_site_label
_atom_site_type_symbol
_atom_site_fract_x
_atom_site_fract_y
_atom_site_fract_z
Fe1 Fe 0.000 0.000 0.000
Fe2 Fe 0.000 0.247 0.000
Fe3 Fe 0.000 0.747 0.000
Fe4 Fe 0.250 0.374 0.497
Co1 Co 0.000 0.498 0.000
Co2 Co 0.249 0.623 0.504
```

---

Theoretical PXRD pattern of Fe13Co2 for Cu Kα, from a crystal structure in Alexandria, relaxed with PBE.
Intensities are scaled so that the largest is 100.

The 9 most intense peaks (10 to 90 degrees two-theta), by intensity:
| (hkl) | two_theta | I_rel |
| --- | --- | --- |
| 1 2 3 | 45.0 | 100 |
| 2 1 0 | 45.2 | 50 |
| 3 0 2 | 83.2 | 14 |
| 3 3 3 | 83.3 | 14 |
| 2 1 5 | 83.0 | 11 |
| 0 0 5 | 65.4 | 7 |
| -2 2 1 | 65.7 | 7 |
| 2 4 1 | 65.8 | 7 |
| 2 1 -5 | 83.1 | 4 |

Atomic structure:
```
data_Fe13Co2
_chemical_formula_sum 'Fe13 Co2'
_cell_length_a 4.013
_cell_length_b 6.351
_cell_length_c 7.415
_cell_angle_alpha 75.05
_cell_angle_beta 89.97
_cell_angle_gamma 71.66
_space_group_name_H-M_alt 'P -1'
_space_group_IT_number 2
loop_
_space_group_symop_operation_xyz
'x,y,z'
'-x,-y,-z'
loop_
_atom_site_label
_atom_site_type_symbol
_atom_site_fract_x
_atom_site_fract_y
_atom_site_fract_z
Fe1 Fe 0.000 0.000 0.000
Fe2 Fe 0.067 0.866 0.399
Fe3 Fe 0.133 0.734 0.799
Fe4 Fe 0.267 0.466 0.603
Fe5 Fe 0.333 0.334 0.000
Fe6 Fe 0.399 0.202 0.399
Fe7 Fe 0.467 0.065 0.800
Co1 Co 0.200 0.600 0.200
```
____________

Worked solution =
Co1 Co 0.000 0.498 0.000
Co2 Co 0.249 0.623 0.504
```

---

Theoretical PXRD pattern of Fe13Co2 for Cu Kα, from a crystal structure in Alexandria, relaxed with PBE.
Intensities are scaled so that the largest is 100.

The 9 most intense peaks (10 to 90 degrees two-theta), by intensity:
| (hkl) | two_theta | I_rel |
| --- | --- | --- |
| 1 2 3 | 45.0 | 100 |
| 2 1 0 | 45.2 | 50 |
| 3 0 2 | 83.2 | 14 |
| 3 3 3 | 83.3 | 14 |
| 2 1 5 | 83.0 | 11 |
| 0 0 5 | 65.4 | 7 |
| -2 2 1 | 65.7 | 7 |
| 2 4 1 | 65.8 | 7 |
| 2 1 -5 | 83.1 | 4 |

Atomic structure:
```
data_Fe13Co2
_chemical_formula_sum 'Fe13 Co2'
_cell_length_a 4.013
_cell_length_b 6.351
_cell_length_c 7.415
_cell_angle_alpha 75.05
_cell_angle_beta 89.97
_cell_angle_gamma 71.66
_space_group_name_H-M_alt 'P -1'
_space_group_IT_number 2
loop_
_space_group_symop_operation_xyz
'x,y,z'
'-x,-y,-z'
loop_
_atom_site_label
_atom_site_type_symbol
_atom_site_fract_x
_atom_site_fract_y
_atom_site_fract_z
Fe1 Fe 0.000 0.000 0.000
Fe2 Fe 0.067 0.866 0.399
Fe3 Fe 0.133 0.734 0.799
Fe4 Fe 0.267 0.466 0.603
Fe5 Fe 0.333 0.334 0.000
Fe6 Fe 0.399 0.202 0.399
Fe7 Fe 0.467 0.065 0.800
Co1 Co 0.200 0.600 0.200
```